## Assignment
Please repeat all of the contents underneath unchanged.

## Material
____________
Computed powder diffraction line list
Compound: CaPt2O4
Radiation: Cu Kα (λ = 1.5418 Å)
Structure: the GGA-PBE geometry in the Materials Project
Lines closer than 0.1° are merged.

The 10 most intense peaks (2θ from 10° to 90°), most intense first:
2theta, Rel. int.
34.73, 100
15.32, 88
38.16, 52
21.80, 33
31.12, 24
55.14, 24
34.87, 23
75.37, 22
57.73, 19
47.29, 14

Crystal structure
```
CaPt2O4
1.0
5.7820 0.0000 0.0000
0.0000 5.7820 0.0000
0.0000 0.0000 5.7470
Ca Pt O
2 4 8
Cartesian
0.0000 2.8910 0.0000
2.8910 0.0000 2.8735
0.0000 1.3811 2.8735
0.0000 4.4009 2.8735
1.3811 0.0000 0.0000
4.4009 0.0000 0.0000
1.4042 1.4042 1.4368
1.4042 1.4042 4.3103
1.4042 4.3778 1.4368
1.4042 4.3778 4.3103
4.3778 1.4042 1.4368
4.3778 1.4042 4.3103
4.3778 4.3778 1.4368
4.3778 4.3778 4.3103
```
____________

## Written answer
Computed powder diffraction line list
Compound: CaPt2O4
Radiation: Cu Kα (λ = 1.5418 Å)
Structure: the GGA-PBE geometry in the Materials Project
Lines closer than 0.1° are merged.

The 10 most intense peaks (2θ from 10° to 90°), most intense first:
2theta, Rel. int.
34.73, 100
15.32, 88
38.16, 52
21.80, 33
31.12, 24
55.14, 24
34.87, 23
75.37, 22
57.73, 19
47.29, 14

Crystal structure
```
CaPt2O4
1.0
5.7820 0.0000 0.0000
0.0000 5.7820 0.0000
0.0000 0.0000 5.7470
Ca Pt O
2 4 8
Cartesian
0.0000 2.8910 0.0000
2.8910 0.0000 2.8735
0.0000 1.3811 2.8735
0.0000 4.4009 2.8735
1.3811 0.0000 0.0000
4.4009 0.0000 0.0000
1.4042 1.4042 1.4368
1.4042 1.4042 4.3103
1.4042 4.3778 1.4368
1.4042 4.3778 4.3103
4.3778 1.4042 1.4368
4.3778 1.4042 4.3103
4.3778 4.3778 1.4368
4.3778 4.3778 4.3103
```